Introduction to RenderMan

The computer graphics community is approaching an important threshold, the advent of photorealistic image synthesis available on the desktop. The advances of workstation technology and of basic image synthesis research have combined to allow affordable photorealism: the ability to produce pictures comparable in quality to those captured by a camera.

In issuing its RenderMan 3-D Scene Description Interface proposal, Pixar is embarking on a major effort to make the technology for photorealism accessible for a broad range of scientific visualization and computer-aided-design applications.

RenderMan Design Goals

The RenderMan interface is a Pixar proposal designed:


RenderMan is an interface through which 3-D geometry and visual attributes are passed. 3-D geometry is expressed as collections of primitives such as polygons, curved surface patches and NURBs. Constructive solid geometry may be used to assemble the primitives. Visual attributes and shading information is specified with a shading language. Modeling systems use the shading language to express custom materials, textures, light sources, and atmospheric effects. The interface provides a framework for a renderer to achieve a range of capabilities, from antialiasing to ray tracing to motion blur.

The design principles were to keep the interface:

Features and Capabilities

The RenderMan Interface is a standard interface between modeling programs and rendering programs capable of producing photorealistic quality images. A rendering program implementing the RenderMan Interface differs from an implementation of earlier graphics standards in that:

The RenderMan Interface is designed so that the information needed to specify a photorealistic image can be passed to different rendering programs compactly and efficiently. The interface itself is designed to drive different hardware devices, software implementations and rendering algorithms. Many types of rendering systems are accommodated by this interface, including z-buffer-based, scanline-based, ray tracing, terrain rendering, molecule or sphere rendering and the Reyes rendering architecture. In order to achieve this, the interface does not specify how a picture is rendered, but instead specifies what picture is desired. The interface is designed to be used by both batch-oriented and real-time interactive rendering systems. Real-time rendering is accommodated by ensuring that all the information needed to draw a particular geometric primitive is available when the primitive is defined. Both batch and real-time rendering is accommodated by making limited use of inquiry functions and call-backs.

The RenderMan Interface is meant to be complete, but minimal, in its transfer of scene descriptions from modeling programs to rendering programs. The interface usually provides only a single way to communicate a parameter; it is expected that the modeling front end will provide other convenient variations. An example is color coordinate systems -- the RenderMan Interface supports multiple-component color models because a rendering program intrinsically computes with an n-component color model. However, the RenderMan Interface does not support all color coordinate systems because there are so many and because they must normally be immediately converted to the color representation used by the rendering program. Another example is geometric primitives -- the primitives defined by the RenderMan Interface are considered to be rendering primitives, not modeling primitives. The primitives were chosen either because special graphics algorithms or hardware is available to draw those primitives, or because they allow for a compact representation of a large database. The task of converting higher-level modeling primitives to rendering primitives must be done by the modeling program.

The RenderMan Interface is not designed to be a complete three-dimensional interactive programming environment. Such an environment would include many capabilities not addressed in this interface.
These include

  • screen space or two-dimensional primitives such as annotation text, markers, and 2-D lines and curves.
  • non-surface primitives such as 3-D lines and curves.
  • user-interface issues such as window systems, input devices, events, selecting, highlighting, and incremental redisplay

    The RenderMan Interface is a collection of procedures to transfer the description of a scene to the rendering program.A rendering program takes this input and produces an image. This image can be immediately displayed on a given display device or saved in an image file. The output image may contain color as well as coverage and depth information for postprocessing. Image files are also used to input texture maps. This document does not specify a "standard format" for image files.

    The RenderMan Shading Language is a programming language for extending the predefined functionality of the RenderMan Interface. New materials and light sources can be created using this language. This language is also used to specify deformations, special camera projections, and simple image processing functions. All required shading functionality is also expressed in this language. A shading language is an essential part of a high-quality rendering program. No single material lighting equation can ever hope to model the complexity of all possible material models.

    Features and Capabilities

    The RenderMan Interface was designed in a top-down fashion by asking what information is needed to specify a scene in enough detail so that a photorealistic image can be created. Photorealistic image synthesis is quite challenging and many rendering programs cannot implement all of the features provided by the RenderMan Interface. This section describes which features are required and which are considered optional capabilities. The set of required features is extensive in order that application writers and end-users may reasonably expect basic compatibility between, and a high level of performance from, all implementations of the RenderMan Interface. Capabilities are optional only in situations where it is reasonable to expect that some rendering programs are algorithmically incapable of supporting that capability, or where the capability is so advanced that it is reasonable to expect that most rendering implementations will not be able to provide it.

    Required features

    All rendering programs which implement the RenderMan Interface must implement the interface as specified in this document. Implementations which are provided as a linkable C library must provide entry points for all of the subroutines and functions, accepting the parameters as described in this specification. All of the predefined types, variables and constants (including the entire set of constant RtToken variables for the predefined string arguments to the various RenderMan Interface subroutines) must be provided. The C header file ri.h describes these data items.

    Implementations which are provided as prelinked standalone applications must accept as input the complete RenderMan Interface Bytestream (RIB). Such implementations may also provide a complete RenderMan Interface library as above, which contains subroutine stubs whose only function is to generate RIB.

    All rendering programs which implement the RenderMan Interface must:

    Rendering programs which implement the RenderMan Interface receive all of their data through the interface. There will be no additional subroutines required to control or provide data to the rendering program. Data items which are substantially similar to items already described in this specification will be supplied through the normal mechanisms, and not through any of the implementation-specific extension mechanisms (RiAttribute, RiGeometry or RiOption). Rendering programs will not provide nonstandard alternatives to the existing mechanisms, such as any alternate language for programmable shading.

    Optional Capabilities

    Rendering programs may also provide one or more of the following optional capabilities. If a capability is not provided by an implementation, a specific default is required. A subset of the full functionality of a capability may be provided by a rendering program. For example, a rendering program might implement Motion Blur, but only of simple transformations, or only using a limited range of shutter times. Rendering programs should describe their implementation of the following optional capabilities using the terminology in the following list.

    Solid Modeling
    The ability to define solid models as collections of surfaces and combine them using the set operations intersection, union and difference. (See the section on

    Trim Curves
    The ability to specify a subset of a parametric surface by giving a region in parameter space.

    Level of Detail
    The ability to specify several definitions of the same model and have one selected based on the estimated screen size of the model.

    Motion Blur
    The ability to process moving primitives and antialias them in time.

Records of crystals that have nothing to do with the entry:
/*
Below is a geometry-optimized CeNdNi2 structure, with properties calculated at the GGA-PBE level.

```
data_CeNdNi2
_chemical_formula_sum 'Ce1 Nd1 Ni2'
_cell_length_a 3.670
_cell_length_b 4.220
_cell_length_c 5.803
_cell_angle_alpha 90.00
_cell_angle_beta 108.23
_cell_angle_gamma 90.00
_space_group_name_H-M_alt 'P 1 m 1'
_space_group_IT_number 6
loop_
_space_group_symop_operation_xyz
'x,y,z'
'x,-y,z'
loop_
_atom_site_label
_atom_site_fract_x
_atom_site_fract_y
_atom_site_fract_z
_atom_site_occupancy
Ce1 0.000 0.000 0.000 1
Nd1 0.264 0.500 0.532 1
Ni1 0.539 0.500 0.078 1
Ni2 0.687 0.000 0.378 1
```

The magnetization comes out at 0.00 μB per formula unit. For the density of states at the Fermi level, the calculation gives 5.16 states/eV/f.u. The uncorrected energy comes out at -5.8852 eV/atom. The relative energy among the computed polymorphs is 0.00 eV per formula unit. The formation energy from the elements comes out at -0.32 eV per atom.



Below is a geometry-optimized CeNdNi structure, with properties calculated at the GGA-PBE level.

```
data_CeNdNi
_chemical_formula_sum 'Ce2 Nd2 Ni2'
_cell_length_a 3.535
_cell_length_b 3.535
_cell_length_c 11.753
_cell_angle_alpha 90.00
_cell_angle_beta 90.00
_cell_angle_gamma 90.00
_space_group_name_H-M_alt 'I 4 m m'
_space_group_IT_number 107
_space_group_name_Hall 'I 4 -2'
loop_
_atom_site_label
_atom_site_fract_x
_atom_site_fract_y
_atom_site_fract_z
_atom_site_occupancy
Ce1 0.000 0.000 0.000 1
Nd1 0.000 0.000 0.724 1
Ni1 0.000 0.000 0.387 1
```

The magnetization comes out at 0.61 μB per formula unit. For the density of states at the Fermi level, the calculation gives 5.59 states/eV/f.u. The uncorrected energy comes out at -5.6003 eV/atom. The relative energy among the computed polymorphs is 0.00 eV per formula unit. The formation energy from the elements comes out at -0.11 eV per atom.



Below is a geometry-optimized Ce2NdNi9 structure, with properties calculated at the GGA-PBE level.

```
data_Ce2NdNi9
_chemical_formula_sum 'Ce6 Nd3 Ni27'
_cell_length_a 4.9762
_cell_length_b 4.9762
_cell_length_c 24.6999
_cell_angle_alpha 90.00
_cell_angle_beta 90.00
_cell_angle_gamma 120.00
_space_group_name_H-M_alt 'R -3 m'
_space_group_IT_number 166
_space_group_name_Hall '-R 3 2"'
loop_
_atom_site_label
_atom_site_fract_x
_atom_site_fract_y
_atom_site_fract_z
_atom_site_occupancy
Ce1 0.0000 0.0000 0.1389 1
Nd1 0.0000 0.0000 0.0000 1
Ni1 0.0000 0.0000 0.3329 1
Ni2 0.0000 0.0000 0.5000 1
Ni3 0.9997 0.4999 0.0826 1
```

The magnetization comes out at 0.00 μB per formula unit. For the density of states at the Fermi level, the calculation gives 14.53 states/eV/f.u. The uncorrected energy comes out at -6.0890 eV/atom. The formation energy from the elements comes out at -0.37 eV per atom.

* * * * *

Entry from the Alexandria database: a relaxed structure of NbCr2HgSe (PBE-GGA).

Properties
Uncorrected formation energy   2.14 eV per atom
M_tot   1.96 μB/f.u.
*/
End of the records of crystals:

    Depth of Field
    The ability to simulate focusing at different depths.

    Programmable Shading
    The ability to perform shading calculations using user-supplied RenderMan Shading Language programs.

    Special Camera Projections
    The ability to perform nonstandard camera projections such as spherical or Omnimax projections.

    The ability to handle nonlinear transformations such as bends and twists.

    The ability to handle displacements.

    Spectral Colors
    The ability to calculate colors with an arbitrary number of spectral color samples.

    Texture Mapping
    The ability to index a texture map with the surface's texture coordinates.

    Environment Mapping
    The ability to model the environmental illumination by indexing a texture map with a direction vector.

    Bump Mapping
    The ability to perturb just surface normals by giving a displacement map.

    Shadow Depth Mapping
    The ability to index a shadow map with a position.

    Volume Shading
    The ability to attach and evaluate volumetric shading procedures.

    Ray Tracing
    The ability to evaluate global illumination models using ray tracing.

    The ability to evaluate global illumination models using radiosity.

    Area Light Sources
    The ability to illuminate surfaces with area light sources.

    Copyright - Sudhir R Kaushik (